Brief:
Your job: retype only the lines further below with the word "loop_" in them.
Listing:
<<<
(1)
# PBE TaMn4Al, optimized geometry
# N(E_F)	6.4	states/eV per cell
# magnetization	2.81	μB per formula unit
# space group	F-43m (216)
# energy of formation	-0.207	eV per atom
# calculated density	9.32	g/cm³
data_TaMn4Al
_space_group_name_H-M_alt 'P 1'
_space_group_IT_number 1
_space_group_name_Hall 'P 1'
_cell_length_a 4.759
_cell_length_b 4.759
_cell_length_c 4.759
_cell_angle_alpha 60.00
_cell_angle_beta 60.00
_cell_angle_gamma 60.00
loop_
_atom_site_label
_atom_site_type_symbol
_atom_site_fract_x
_atom_site_fract_y
_atom_site_fract_z
Mn1 Mn 0.626 0.122 0.626
Mn2 Mn 0.626 0.626 0.626
Mn3 Mn 0.626 0.626 0.122
Mn4 Mn 0.122 0.626 0.626
Ta1 Ta 0.250 0.250 0.250
Al1 Al 0.000 0.000 0.000

---

(2)
# PBE Ta2MnAl2, optimized geometry
# N(E_F)	4.3	states/eV per cell
# magnetization	1.84	μB per formula unit
# space group	P4/mbm (127)
# energy of formation	-0.057	eV per atom
# calculated density	9.72	g/cm³
data_Ta2MnAl2
_space_group_name_H-M_alt 'P 1'
_space_group_IT_number 1
_space_group_name_Hall 'P 1'
_cell_length_a 6.472
_cell_length_b 6.472
_cell_length_c 3.841
_cell_angle_alpha 90.00
_cell_angle_beta 90.00
_cell_angle_gamma 90.00
loop_
_atom_site_label
_atom_site_type_symbol
_atom_site_fract_x
_atom_site_fract_y
_atom_site_fract_z
Ta1 Ta 0.834 0.334 0.500
Ta2 Ta 0.334 0.166 0.500
Ta3 Ta 0.166 0.666 0.500
Ta4 Ta 0.666 0.834 0.500
Al1 Al 0.363 0.863 0.000
Al2 Al 0.863 0.637 0.000
Al3 Al 0.637 0.137 0.000
Al4 Al 0.137 0.363 0.000
Mn1 Mn 0.000 0.000 0.000
Mn2 Mn 0.500 0.500 0.000

---

(3)
# PBE TaMn2Al, optimized geometry
# N(E_F)	3.5	states/eV per cell
# magnetization	2.07	μB per formula unit
# space group	Pm (6)
# energy of formation	-0.042	eV per atom
# calculated density	9.53	g/cm³
data_TaMn2Al
_space_group_name_H-M_alt 'P 1'
_space_group_IT_number 1
_space_group_name_Hall 'P 1'
_cell_length_a 4.150
_cell_length_b 2.720
_cell_length_c 5.053
_cell_angle_alpha 75.97
_cell_angle_beta 90.00
_cell_angle_gamma 90.00
loop_
_atom_site_label
_atom_site_type_symbol
_atom_site_fract_x
_atom_site_fract_y
_atom_site_fract_z
Ta1 Ta 0.000 0.484 0.490
Mn1 Mn 0.500 0.191 0.232
Mn2 Mn 0.000 0.015 0.003
Al1 Al 0.500 0.810 0.774

---

(4)
# PBE TaMnAl, optimized geometry
# N(E_F)	2.8	states/eV per cell
# magnetization	0.61	μB per formula unit
# space group	I4mm (107)
# energy of formation	-0.171	eV per atom
# calculated density	9.92	g/cm³
data_TaMnAl
_space_group_name_H-M_alt 'P 1'
_space_group_IT_number 1
_space_group_name_Hall 'P 1'
_cell_length_a 5.099
_cell_length_b 5.099
_cell_length_c 5.099
_cell_angle_alpha 144.72
_cell_angle_beta 144.72
_cell_angle_gamma 50.76
loop_
_atom_site_label
_atom_site_type_symbol
_atom_site_fract_x
_atom_site_fract_y
_atom_site_fract_z
Mn1 Mn 0.331 0.331 0.000
Al1 Al 0.986 0.986 0.000
Ta1 Ta 0.683 0.683 0.000

---

(5)
# PBE TaMn2Al, optimized geometry
# N(E_F)	3.6	states/eV per cell
# magnetization	0.00	μB per formula unit
# space group	P4mm (99)
# energy of formation	-0.124	eV per atom
# calculated density	9.71	g/cm³
data_TaMn2Al
_space_group_name_H-M_alt 'P 1'
_space_group_IT_number 1
_space_group_name_Hall 'P 1'
_cell_length_a 2.783
_cell_length_b 2.783
_cell_length_c 7.016
_cell_angle_alpha 90.00
_cell_angle_beta 90.00
_cell_angle_gamma 90.00
loop_
_atom_site_label
_atom_site_type_symbol
_atom_site_fract_x
_atom_site_fract_y
_atom_site_fract_z
Al1 Al 0.500 0.500 0.788
Mn1 Mn 0.500 0.500 0.203
Mn2 Mn 0.000 0.000 0.024
Ta1 Ta 0.000 0.000 0.485

---

(6)
# PBE TaMnAl, optimized geometry
# N(E_F)	17.0	states/eV per cell
# magnetization	1.03	μB per formula unit
# space group	R-3m (166)
# energy of formation	-0.244	eV per atom
# calculated density	10.04	g/cm³
data_TaMnAl
_space_group_name_H-M_alt 'P 1'
_space_group_IT_number 1
_space_group_name_Hall 'P 1'
_cell_length_a 4.978
_cell_length_b 4.978
_cell_length_c 12.489
_cell_angle_alpha 78.50
_cell_angle_beta 78.50
_cell_angle_gamma 60.00
loop_
_atom_site_label
_atom_site_type_symbol
_atom_site_fract_x
_atom_site_fract_y
_atom_site_fract_z
>>>
Result:
loop_
loop_
loop_
loop_
loop_
loop_